Party City Customer Service Number
Party City Holdco Ic. (PCHI) (NYSE:PRTY) is a global leader i the celebratios idustry. A vertically itegrated desiger, maufacturer, distributor, ad retailer, PCHI offers cosumer party goods i more tha 100 coutries aroud the world. PCHI tea...
Party City Canada Customer Service Number
Party City Holdco Ic. (PCHI) (NYSE:PRTY) is a global leader i the celebratios idustry. A vertically itegrated desiger, maufacturer, distributor, ad retailer, PCHI offers cosumer party goods i more tha 100 coutries aroud the world. PCHI tea...
Customer Service: +1 800 727 8924 -
Bowlero Customer Service Number
Bowlero Corp is the largest ower ad operator of bowlig ceters i the world, deliverig a strikigly uique experiece to over 28 millio guests at more tha 300 Bowlero, Bowlmor Laes, ad AMF locatios throughout North America. From value-based ad m...
Customer Service: +1 800 342 5263Email: [email protected] -
Healthtrax Fitness And Wellness Customer Service Number
We evisio a society where persoal healthcare resposibility is the orm, ot the exceptio. Where people are iformed ad motivated to practice good lifestyle habits icludig a quality fitess regime. At Healthtrax, we see ourselves as a vital part...
Customer Service: +1 800 505 5000 -
Ambius Customer Service Number
Ambius is the market leader i creatig ehaced commercial spaces. With over 50 years of experiece, our experts i 15 coutries have a deep uderstadig of the ambiet eviromet’s impact o brad reputatio. By icorporatig plats ito your desig i the ...
Customer Service: +1 866 225 2491Email: [email protected] -
Urban Air Trampoline Park Customer Service Number
Urba Air Adveture Park is the atio's preemiet idoor theme park with more tha 200 locatios ope or uder developmet, across the coutry. Each adveture park is equipped with uique ad pateted attractios that ca oly be foud at Urba Air, providig a...
Customer Service: +1 513 322 3130 -
Scene 75 Customer Service Number
Scee75 Etertaimet, a iteratioal award wiig brad of etertaimet ceters, features locatios i Dayto, Ciciati, Clevelad, Columbus ad Chicagolad. Each facility features idoor electric go-karts, blacklight mii-golf, two story laser tag, arcade, B...
Customer Service: +1 412 336 2330 -
Santikos Entertainment Customer Service Number
We ♥ movies ad givig back! Sice 1911, Satikos Etertaimet has created uique experieces with large format screes, cuttig-edge audio ad visual techology, ad groud-breakig ameities for the ciema idustry. Now orgaized uder the Joh L. Satikos ...
K1 Speed Customer Service Number
Fouded i 2003, K1 Speed is the premier kartig compay i America. With kart racig ceters atiowide, K1 Speed brigs the thrill ad excitemet of idoor kartig to a large audiece. Offerig highly-advaced ad evirometally-friedly electric go karts as ...
Customer Service: +1 888 515 2787 -
Bow Tie Cinemas Customer Service Number
Bow Tie Ciemas is a four-geeratio, family-owed compay. Fouded i 1900 by vaudeville impresario B.S. Moss, the compay is the oldest theater circuit i North America ad is America’s eighth-largest movie theater chai. Bow Tie Ciemas operates 3...
Customer Service: +1 203 659 2600Email: [email protected] -
Boondocks Fun Center and Birthday Parties Customer Service Number
Boodocks Food & Fu has received the prestigious IAAPA Brass Rig award for the “TOP FAMILY ENTERTAINMENT CENTER OF THE WORLD!” The Brass Rig’s Top FEC of the World was awarded at the Attractio Expo of IAAPA i Orlado, Florida U.S.A....
Customer Service: +1 720 842 1100 -
Cinergy Entertainment Group Customer Service Number
Dallas, Texas-based Ciergy Etertaimet Group, Ic. is a visioary idustry iovator ad regioal operator with four Texas ciema etertaimet ceters with 39 screes ad 36 laes of bowlig. All Ciergy ceters feature die-i ciemas servig alcoholic beverage...
Customer Service: +1 214 750 6607Email: [email protected] -
Christmas Central Customer Service Number
Christmas Cetral is owed ad operated by the Gordo family. Christmas Cetral was started i 2001 whe the Gordos took their retail stores olie. Today, Christmas Cetral has bee recogized as oe of the atio's fastest-growig compaies five-times b...
Customer Service: +1 800 433 0038Email: [email protected] -
Royal Pin Woodlands Customer Service Number
Brad developmet. Icrease website traffic ad idustry awareess. Work directly with bowlig ceter’s program directors ad maagers to create ad promote leagues ad social evets. Trai staff for recruitig ad promotioal projects. Develop ad impleme...
Customer Service: +1 317 247 4426 -
HRdirect Smart Apps Customer Service Number
For more tha 30 years, HRdirect® has developed ad marketed huma resource materials ad persoel maagemet ad recordkeepig products for busiesses throughout the Uited States. Today we offer hudreds of huma resource products — from software...
Customer Service: +1 800 350 7259 -
**Inserted here: records of crystals**
-- begin --
Entry 1:
Simulated X-ray diffraction stick pattern
Compound: Pm5Pd4O
Radiation: a wavelength of 1.5418 Å
Structure: a DFT-relaxed cell (PBE, Alexandria)

Principal peaks in the range 2θ = 10–80°, by intensity:
- 2.882 Å, 31.03°, I = 100
- 2.773 Å, 32.29°, I = 73
- 2.665 Å, 33.64°, I = 71
- 1.998 Å, 45.39°, I = 69
- 2.300 Å, 39.16°, I = 67
- 1.447 Å, 64.41°, I = 30
- 3.284 Å, 27.15°, I = 26
- 2.038 Å, 44.45°, I = 20
- 1.642 Å, 56.00°, I = 20
- 1.249 Å, 76.22°, I = 18

Structure:
a b c (Å): 7.0162 7.0162 7.0162
angles (deg): 98.98 98.98 133.44
Element x y z (fractional)
Pm 0.0000 0.0000 0.0000
Pm 0.2293 0.3543 0.6265
Pm 0.3543 0.7278 0.1250
Pm 0.6029 0.2293 0.8750
Pm 0.7278 0.6029 0.3735
Pd 0.0445 0.6333 0.7233
Pd 0.3212 0.0445 0.4112
Pd 0.6333 0.9100 0.5888
Pd 0.9100 0.3212 0.2767
O 0.4380 0.4380 0.0000

Entry 2:
Simulated X-ray diffraction stick pattern
Compound: Pm3PdO6
Radiation: a wavelength of 1.5418 Å
Structure: a DFT-relaxed cell (PBE, Alexandria)

Principal peaks in the range 2θ = 10–80°, by intensity:
- 2.925 Å, 30.56°, I = 100
- 3.106 Å, 28.74°, I = 85
- 2.829 Å, 31.62°, I = 26
- 2.035 Å, 44.51°, I = 25
- 2.236 Å, 40.34°, I = 20
- 1.777 Å, 51.41°, I = 17
- 1.715 Å, 53.44°, I = 13
- 1.622 Å, 56.77°, I = 13
- 1.552 Å, 59.56°, I = 10
- 1.690 Å, 54.27°, I = 9

Structure:
a b c (Å): 5.6792 5.8601 10.2071
angles (deg): 90.00 118.82 90.00
Element x y z (fractional)
Pm 0.0000 0.0000 0.0000
Pm 0.0000 0.5000 0.5000
Pm 0.2942 0.0562 0.7580
Pm 0.2942 0.4438 0.2580
Pm 0.7058 0.5562 0.7420
Pm 0.7058 0.9438 0.2420
Pd 0.5000 0.0000 0.5000
Pd 0.5000 0.5000 0.0000
O 0.0900 0.0824 0.2446
O 0.0900 0.4176 0.7446
O 0.3131 0.7028 0.0874
O 0.3131 0.7972 0.5874
O 0.3836 0.2195 0.0758
O 0.3836 0.2805 0.5758
O 0.6164 0.7195 0.4242
O 0.6164 0.7805 0.9242
O 0.6869 0.2028 0.4126
O 0.6869 0.2972 0.9126
O 0.9100 0.5824 0.2554
O 0.9100 0.9176 0.7554

Entry 3:
Simulated X-ray diffraction stick pattern
Compound: Pm4Pd6O19
Radiation: a wavelength of 1.5418 Å
Structure: a DFT-relaxed cell (PBE, Alexandria)

Principal peaks in the range 2θ = 10–80°, by intensity:
- 2.825 Å, 31.67°, I = 100
- 3.647 Å, 24.41°, I = 84
- 2.387 Å, 37.68°, I = 58
- 2.106 Å, 42.96°, I = 45
- 1.752 Å, 52.21°, I = 40
- 1.489 Å, 62.37°, I = 37
- 1.823 Å, 50.02°, I = 27
- 1.631 Å, 56.42°, I = 20
- 2.579 Å, 34.79°, I = 19
- 1.317 Å, 71.65°, I = 18

Structure:
a b c (Å): 7.7361 7.7361 7.7361
angles (deg): 109.47 109.47 109.47
Element x y z (fractional)
Pm 0.0000 0.0000 0.6794
Pm 0.0000 0.6794 0.0000
Pm 0.3206 0.3206 0.3206
Pm 0.6794 0.0000 0.0000
Pd 0.1603 0.6603 0.5000
Pd 0.3397 0.5000 0.8397
Pd 0.5000 0.1603 0.6603
Pd 0.5000 0.8397 0.3397
Pd 0.6603 0.5000 0.1603
Pd 0.8397 0.3397 0.5000
O 0.0000 0.0000 0.0000
O 0.0000 0.3369 0.3369
O 0.0000 0.6631 0.6631
O 0.0355 0.3638 0.7618
O 0.2382 0.6019 0.2737
O 0.2737 0.2382 0.6019
O 0.3282 0.9645 0.7263
O 0.3369 0.0000 0.3369
O 0.3369 0.3369 0.0000
O 0.3638 0.7618 0.0355
O 0.3981 0.6362 0.6718
O 0.6019 0.2737 0.2382
O 0.6362 0.6718 0.3981
O 0.6631 0.0000 0.6631
-- stop --
**End of the records of crystals**
GiftTree Customer Service Number
At GiftTree, we delight i turig ordiary giftig momets ito extraordiary oes. Sice our foudig i 1997, gift givers have celebrated the importat momets i their life with our collectio of superior-quality, curated gifts. From the start, we’ve ...
Customer Service: +1 800 379 4065 -
Chasing Fireflies Customer Service Number
We created chasig fireflies to yes, celebrate childhood but also to celebrate parethood. Do you remember the first time you ever rode a bike? Swam across the pool? Chased fireflies? It’s eve more special the secod time aroud whe you share...
Customer Service: +1 888 700 9474Email: [email protected] -
M and Ms Customer Service Number
My M&M'S (mymms.com) turs a icoic cady-coated chocolate ito a delicious greetig card ad coversatio piece by emblazoig M&M'S with everythig from compay logos to birthday wishes ad weddig cogratulatios to graduatio portraits ad holida...
Customer Service: +1 800 627 7852Email: [email protected] -
JollyHome Customer Service Number
Jollyhome.com furishes a bled of cosumer eeds, which icludes more tha oe score categories of tools & household gear ad kitcheware. Ad we have direct coectio with local maufacturers, who help meet a full rage of custom-made eeds -- a gua...
Customer Service: +865 718 720 9378 -
Superior Play Systems Customer Service Number
Sice 1992 Superior Play Systems® has bee had-selectig ad expertly istallig the safest ad highest quality outdoor play systems ad recreatioal sports equipmet, icludig trampolies, basketball hoops, ad woode play sets for parets ad gradparets...
Customer Service: +1 800 875 7946